The Inside Information Regime of the MAR and the Rise of the ESG Era
In our recent paper, we explore the potential impact of ESG-related information and of the increase in ESG-compliant investments on the prohibition on insider dealing and the obligation to publicly disclose inside information. Environmental, social and governance-compliant investing (‘ESG investing’) has emerged as a major social topic in recent years. The rise in ESG investing has been characterized as an ‘investor revolution’ and a manifestation of social change. We believe that the ESG preferences of a critical mass of real-life investors and, as a corollary, ESG-related information are, and will continue to be, of great importance to the inside information regime of the Market Abuse Regulation (‘MAR’).
The impact of ESG-related information on the development of share prices:
Someone pasted materials data at this point >
- - -
# TlTcSe2

A relaxed structure of TlTcSe2 (GGA-PBE, Alexandria via LeMat-Bulk).

Cell lengths 3.113, 3.921, 7.219 Å; angles 90.00, 90.00, 90.00 degrees
Positions (direct):
Tl  0.500  0.500  0.750
Se  0.000  0.000  0.051
Tc  0.000  0.000  0.396
Se  0.500  0.500  0.303

space-group type	Pmm2 (25)
formation energy without anion corrections	0.989	eV/f.u.
ΔE to the lowest computed polymorph	578.3	meV/atom



# TlTcSe2

A relaxed structure of TlTcSe2 (GGA-PBE, Alexandria via LeMat-Bulk).

Cell lengths 20.336, 6.487, 6.487 Å; angles 96.28, 107.04, 72.96 degrees
Positions (direct):
Se  0.725  0.672  0.691
Se  0.412  0.183  0.120
Tc  0.319  0.970  0.073
Se  0.750  0.180  0.680
Tc  0.819  0.427  0.530
Tl  0.572  0.929  0.361
Se  0.250  0.820  0.320
Tl  0.106  0.242  0.112
Se  0.912  0.380  0.317
Tc  0.681  0.030  0.927
Tl  0.072  0.139  0.571
Tl  0.394  0.612  0.742
Tl  0.428  0.071  0.639
Tc  0.181  0.573  0.470
Se  0.250  0.322  0.822
Tc  0.822  0.405  0.950
Tc  0.322  0.550  0.095
Se  0.426  0.696  0.267
Tl  0.606  0.388  0.258
Se  0.775  0.191  0.172
Tc  0.678  0.450  0.905
Se  0.074  0.767  0.196
Se  0.750  0.678  0.178
Tl  0.894  0.758  0.888
Se  0.275  0.328  0.309
Se  0.088  0.620  0.683
Se  0.588  0.817  0.880
Tl  0.928  0.861  0.429
Se  0.574  0.304  0.733
Se  0.225  0.809  0.828
Tc  0.178  0.595  0.050
Se  0.926  0.233  0.804

space-group type	C2/c (15)
formation energy without anion corrections	-0.558	eV/f.u.
ΔE to the lowest computed polymorph	191.4	meV/atom



# Tl3TcSe

A relaxed structure of Tl3TcSe (GGA-PBE, Alexandria via LeMat-Bulk).

Cell lengths 5.736, 5.736, 5.736 Å; angles 90.00, 90.00, 90.00 degrees
Positions (direct):
Se  0.000  0.000  0.000
Tl  0.000  0.000  0.500
Tc  0.500  0.500  0.500
Tl  0.000  0.500  0.000
Tl  0.500  0.000  0.000

space-group type	Pm-3m (221)
formation energy without anion corrections	5.721	eV/f.u.
ΔE to the lowest computed polymorph	610.6	meV/atom



# TlTcSe2

A relaxed structure of TlTcSe2 (GGA-PBE, Alexandria via LeMat-Bulk).

Cell lengths 3.246, 3.021, 9.547 Å; angles 90.15, 90.00, 90.00 degrees
Positions (direct):
Se  0.000  0.251  0.445
Se  0.000  0.249  0.055
Tl  0.500  0.750  0.750
Tc  0.500  0.250  0.250

space-group type	P2/m (10)
formation energy without anion corrections	0.354	eV/f.u.
ΔE to the lowest computed polymorph	419.5	meV/atom



# TlTcSe2

A relaxed structure of TlTcSe2 (GGA-PBE, Alexandria via LeMat-Bulk).

Cell lengths 4.918, 4.918, 4.918 Å; angles 60.00, 60.00, 60.00 degrees
Positions (direct):
Se  0.250  0.250  0.250
Se  0.000  0.000  0.000
Tc  0.500  0.500  0.500
Tl  0.750  0.750  0.750

space-group type	F-43m (216)
formation energy without anion corrections	3.323	eV/f.u.
ΔE to the lowest computed polymorph	1161.8	meV/atom



# TlTcSe2

A relaxed structure of TlTcSe2 (GGA-PBE, Alexandria via LeMat-Bulk).

Cell lengths 18.217, 7.456, 7.456 Å; angles 87.93, 111.20, 68.80 degrees
Positions (direct):
Se  0.725  0.615  0.637
Tl  0.124  0.752  0.497
Tl  0.442  0.485  0.218
- - -
At the outset, one must distinguish between (i) the question of whether ESG factors are relevant to the fundamental value of shares, thus affecting their pricing on the basis of neo-classical capital market theory and (ii) the question of whether a substantial shift in investor preferences is to be expected, which will impact share prices by way of rising demand even in the absence of any relevance of the ESG factors to fundamental value. In particular:
(i) In capital market theory, the fundamental value of a financial instrument is dependent on future cash flows and the risk associated with that financial instrument. It is determined by discounting all future cash flows, ie by determining the present value of the financial instrument (discounted cash flow method). ESG factors may, within the framework of these neo-classical assumptions, affect share prices only where they affect either future cash flows or the discount factor. For example, it is conceivable, and the subject of extensive debate within the scientific community, that ESG factors could affect the discount rate by influencing the cost of capital, due to the operation of the so-called systemic risk transmission channel. One argument in this regard contends that a positive ESG profile should make companies less susceptible to systematic market shocks, thereby exposing them to a lower level of systematic risk.
(ii) Moreover, significantly changing investor preferences could play a major role in shaping the impact of ESG factors on share prices in the future. Were a sufficiently large number of investors to cease to exclusively pursue the goal of maximizing financial returns and instead take ESG factors into account, assigning them equal weighting or even priority when making investment decisions, the resultant share prices would systematically deviate from the assumptions adopted in accordance with common capital market equilibrium models. A rise in demand for financial instruments from issuers with a positive ESG profile would lead to a higher market price for the securities in question—irrespective of the impact of ESG factors on future cash flows or the discount factor. Conversely, companies with a negative ESG profile will face increasing equity costs, which in turn will lead to a decline in their enterprise value.
Despite these theoretically plausible implications, no consensus or unambiguous empirical evidence has yet emerged with regard to the existence of any correlation between ESG factors and stock market performance.
What are the implications of these observations for the inside information regime of the MAR?
In identifying whether, and if so when, ESG-related information may constitute inside information within the meaning of Article 7(1) of the MAR, the potential impact of information on the price of the financial instrument in question is decisive, and must be assessed from the ex ante perspective of a ‘reasonable investor’.
Divergent conceptions of the ‘reasonable investor’:
National competent authorities, legal literature and national courts have thus far defined the concept of the ‘reasonable investor’ quite differently. To date, there has been some disagreement, in particular, as to whether and to what extent the ‘reasonable investor’ should take irrational investor behaviour into account.
- Some commentators argue that the ‘reasonable investor’ is an average individual or entity interested in maximizing its financial returns and behaving in a rational way. Such an investor will take predictable (irrational) behaviour of other market participants into account where it is of value from a financial perspective.
- In contrast, other commentators have put forward valid arguments as to why the ‘reasonable investor’ should not have regard to any such irrational market behaviour. Some of the proponents of the view denying the relevance of irrational investor behaviour define the reasonable investor as the embodiment of the efficient capital market hypothesis (ECMH), and therefore tend to advocate in favour of taking into account only information that relates to the economic opportunities and risks associated with the financial instrument in question and thus to the fundamental value of the issuer’s securities.
********
No. 1
Entry from the Alexandria database: a relaxed V3Co crystal (PBE-GGA).

Unit cell a=2.5374 b=4.8048 c=8.5060 alpha=97.54 beta=90.00 gamma=90.00
Closest atoms and distances in Å follow each position.
Atoms (fractional coordinates):
V 0.7500 0.8993 0.1265  4 V 2.35-2.54, 2 Co 2.59
V 0.2500 0.1007 0.8735  4 V 2.35-2.54, 2 Co 2.59
V 0.7500 0.4120 0.1296  4 V 2.35-2.54, 2 Co 2.56
V 0.2500 0.5880 0.8704  4 V 2.35-2.54, 2 Co 2.56
V 0.7500 0.2751 0.5963  4 Co 2.43-2.46, 2 V 2.54
V 0.2500 0.7249 0.4037  4 Co 2.43-2.46, 2 V 2.54
Co 0.7500 0.7905 0.6505  8 V 2.43-2.59, 2 Co 2.54
Co 0.2500 0.2095 0.3495  8 V 2.43-2.59, 2 Co 2.54

Summary:
uncorrected energy = -8.56 eV/atom


No. 2
Entry from the Alexandria database: a relaxed V3Co2 crystal (PBE-GGA).

Unit cell a=2.7860 b=8.9112 c=10.0910 alpha=90.00 beta=90.00 gamma=90.00
Closest atoms and distances in Å follow each position.
Atoms (fractional coordinates):
V 0.2500 0.6088 0.5494  4 Co 2.36-2.42, 4 V 2.59-2.64
V 0.2500 0.8912 0.0494  4 Co 2.36-2.42, 4 V 2.59-2.64
V 0.7500 0.3912 0.4506  4 Co 2.36-2.42, 4 V 2.59-2.64
V 0.7500 0.1088 0.9506  4 Co 2.36-2.42, 4 V 2.59-2.64
V 0.7500 0.0906 0.5676  5 Co 2.48-2.57, 4 V 2.53-2.54
V 0.7500 0.4094 0.0676  5 Co 2.48-2.57, 4 V 2.53-2.54
V 0.2500 0.9094 0.4324  5 Co 2.48-2.57, 4 V 2.53-2.54
V 0.2500 0.5906 0.9324  5 Co 2.48-2.57, 4 V 2.53-2.54
V 0.2500 0.3051 0.6596  3 Co 2.27-2.45, 2 V 2.54
V 0.2500 0.1949 0.1596  3 Co 2.27-2.45, 2 V 2.54
V 0.7500 0.6949 0.3404  3 Co 2.27-2.45, 2 V 2.54
V 0.7500 0.8051 0.8404  3 Co 2.27-2.45, 2 V 2.54
Co 0.2500 0.1910 0.3847  5 V 2.27-2.48
Co 0.2500 0.3090 0.8847  5 V 2.27-2.48
Co 0.7500 0.8090 0.6153  5 V 2.27-2.48
Co 0.7500 0.6910 0.1153  5 V 2.27-2.48
Co 0.7500 0.5176 0.7286  6 V 2.42-2.57
Co 0.7500 0.9824 0.2286  6 V 2.42-2.57
Co 0.2500 0.4824 0.2714  6 V 2.42-2.57
Co 0.2500 0.0176 0.7714  6 V 2.42-2.57

Summary:
uncorrected energy = -8.27 eV/atom


No. 3
Entry from the Alexandria database: a relaxed V2Co crystal (PBE-GGA).

Unit cell a=4.6042 b=8.9491 c=8.9491 alpha=90.00 beta=90.00 gamma=90.00
Closest atoms and distances in Å follow each position.
Atoms (fractional coordinates):
V 0.5000 0.8928 0.1072  3 V 2.46-2.71, 6 Co 2.67-2.69
V 0.5000 0.1072 0.8928  3 V 2.46-2.71, 6 Co 2.67-2.69
V 0.0000 0.3928 0.3928  3 V 2.46-2.71, 6 Co 2.67-2.69
V 0.0000 0.6072 0.6072  3 V 2.46-2.71, 6 Co 2.67-2.69
V 0.5000 0.9634 0.3733  2 V 2.36-2.46, 4 Co 2.54
V 0.5000 0.0366 0.6267  2 V 2.36-2.46, 4 Co 2.54
V 0.0000 0.4634 0.1267  2 V 2.36-2.46, 4 Co 2.54
V 0.0000 0.5366 0.8733  2 V 2.36-2.46, 4 Co 2.54
V 0.5000 0.3733 0.9634  2 V 2.36-2.46, 4 Co 2.54
V 0.5000 0.6267 0.0366  2 V 2.36-2.46, 4 Co 2.54
V 0.0000 0.1267 0.4634  2 V 2.36-2.46, 4 Co 2.54
V 0.0000 0.8733 0.5366  2 V 2.36-2.46, 4 Co 2.54
V 0.2477 0.6780 0.3220  2 V 2.28-2.32, 1 Co 2.54
V 0.2477 0.3220 0.6780  2 V 2.28-2.32, 1 Co 2.54
V 0.7477 0.1780 0.1780  2 V 2.28-2.32, 1 Co 2.54
V 0.7477 0.8220 0.8220  2 V 2.28-2.32, 1 Co 2.54
V 0.7523 0.3220 0.6780  2 V 2.28-2.32, 1 Co 2.54
********
**The entry goes on:**
Non-financial investor preferences and the inside information regime:
To the extent that the shift in the preferences of a critical mass of real-life investors towards non-financial considerations leads to a predictable reaction of prices to ESG-related information, without the degree of such sensitivity being justified by the impact of the underlying circumstances on the fundamental value of the financial instrument, there are significant differences between the different approaches. Indeed, commonly used theories and models, including the ECMH and the Capital Asset Pricing Model (‘CAPM’), proceed on the assumption that rational investors take only fundamental value-related information into account. Such idealized model investors would not change their investment behaviour on the basis of ESG-related information which had no impact on the fundamental value of the financial instrument in question.
Therefore, from a legal point of view, the crucial question is whether the MAR implicitly prescribes the adoption of certain model assumptions, in particular the assumptions on which the ECMH is based, and thus predetermines the outcome in a manner which is binding on the legal practitioner, the supervisory authorities and the courts. Were this the case, investor preferences of a non-financial nature would not be of any relevance to the prohibition on insider dealing and the obligation to publicly disclose inside information, and ESG-related information would necessarily be relevant only where it affects future cash flows or the discount factor.
In our paper (see section B.IV), we demonstrate that the arguments in favour of the irrelevance of irrational investor behaviour scarcely touch on the issue of whether the shift in investor preferences to include non-financial considerations may be of significance for the prohibition on insider dealing and the obligation to publicly disclose inside information. Furthermore, it is in our opinion rather doubtful that the MAR subscribes to any particular economic theory (ECMH) or its underlying assumptions.
In light of the above, we are strongly inclined to acknowledge the relevance of ESG preferences of a critical mass of real-life investors to the inside information regime. However, the intense debate regarding the precise depiction of the ‘reasonable investor’ indicates that the relevance of ESG-related information to the MAR regime is by no means clear. Given these uncertainties and its efforts to promote sustainable finance, the EU would be well advised to further specify the concept of the ‘reasonable investor’ and/or the concept of inside information, with a particular focus on ESG-related information.
Peter O. Mülbert is Professor of Law at the University of Mainz, Germany.
Alexander Sajnovits is Post-Doctoral Research Fellow at the University of Mainz, Germany.